The table below shows the information that must be filled out. Please contact your hospital IT and/or department PACS
manager if you do not have this information available.
Information needed
PACS name
This is the name of the PACS. Used in the export menu to
select the PACS when transferring images and videos.
PACS Application Entity Title
The AE Title is maximum 16 characters
Host name
IP-address, MAC address or full web address for the PACS
Port number
Network port no. for the PACS
When all the fields have been filled out press
to save the PACS configuration. In the following window you can test
the PACS connectivity by pressing the "Test connection" button. If the the test fails, check the entered information is
correct and try again. For further assistance please contact your hospital PACS manager.
4.2.5. General settings
General Settings
under the
menu, you can enable and disable the
USB connector ports
, the
Live View
180-degrees rotation
access to archive without login
as well as set
user inactivity logout
Press the
tab in the tool bar on the left of the Live View screen
and press the
General Settings
Press the ON/OFF
sliders once to enable or disable functions
USB input
is used to enable and disable the USB ports. When USB input is
(slider set to OFF), the USB ports are
blocked and cannot be used to export recorded image files or perform software upgrades.
Live view controls
, the rotation of the graphical user interface can be locked so it does not rotate when the displaying
unit is physically rotated to have connectors to the left or right (see section 3.2). You can lock the orientation of the graphical
user interface to your preferrece, by disabling the automatic rotation when the interface is in your preferred position.
Access archive without login
function is used to enable and disable access to the archive without having to login.
When activated, please note that the Archive is no longer password protected. The Default User is provided Advanced
User privileges to access previous procedures and view, delete and export files. Please see section 4.3.1 for further
**Someone pasted records of crystals at this point:**
<<<
Entry 1:
# MnBr2

A relaxed structure of MnBr2 (GGA-PBE, the Materials Project). Values from VASP.

Cell and atoms, written as Quantum ESPRESSO input:
```
&SYSTEM
  ibrav = 0, nat = 3, ntyp = 2
/
ATOMIC_SPECIES
Br 79.90 Br.upf
Mn 54.94 Mn.upf
ATOMIC_POSITIONS angstrom
Br 1.949 1.125 1.502
Mn 0.000 0.000 0.000
Br 1.949 -1.125 5.582
CELL_PARAMETERS angstrom
1.949 -3.376 0.000
1.949 3.376 0.000
0.000 0.000 7.084
```

symmetry = P-3m1
formation energy from the elements = -1169 meV/atom


Entry 2:
# Co2PS3

A relaxed structure of Co2PS3 (GGA-PBE, the Materials Project). Values from VASP.

Cell and atoms, written as Quantum ESPRESSO input:
```
&SYSTEM
  ibrav = 0, nat = 12, ntyp = 3
/
ATOMIC_SPECIES
P 30.97 P.upf
Co 58.93 Co.upf
S 32.06 S.upf
ATOMIC_POSITIONS angstrom
P 2.518 0.762 5.234
Co 1.410 2.463 6.226
Co 1.472 -1.245 5.307
Co 0.170 -2.436 1.849
S 3.030 -1.941 3.782
P -1.357 -3.769 2.858
S -0.103 -0.585 6.834
S -0.396 1.880 4.910
S -1.861 -1.078 4.294
Co -1.855 -3.219 4.992
S 0.416 -3.288 5.402
S 0.124 -0.825 3.476
CELL_PARAMETERS angstrom
-2.103 2.947 4.092
-1.952 -4.535 2.262
4.650 -0.624 2.840
```

spin magnetization = 1.010 μB/f.u.
symmetry = P2_1
formation energy from the elements = -690 meV/atom


Entry 3:
# Na3Hf2Ti2SiP5O24

A relaxed structure of Na3Hf2Ti2SiP5O24 (GGA-PBE, the Materials Project). Values from VASP.

Cell and atoms, written as Quantum ESPRESSO input:
```
&SYSTEM
  ibrav = 0, nat = 111, ntyp = 6
/
ATOMIC_SPECIES
P 30.97 P.upf
O 16.00 O.upf
Hf 178.49 Hf.upf
Na 22.99 Na.upf
Ti 47.87 Ti.upf
Si 28.09 Si.upf
ATOMIC_POSITIONS angstrom
P -2.503 5.117 9.300
O 3.777 0.886 14.426
O -0.870 6.375 21.855
Hf 4.450 2.546 4.253
Hf 4.396 2.543 22.039
Hf 4.364 2.524 10.682
O 0.569 1.480 9.205
O 2.758 2.393 16.725
O 1.488 0.075 13.191
O 5.452 1.186 0.651
O 7.195 0.174 18.132
O 3.359 3.910 14.312
O -2.794 7.413 4.406
O -0.587 3.584 5.778
O 2.619 7.382 15.480
O 3.815 0.995 20.712
O 0.686 6.497 8.102
O 1.059 1.313 18.132
O 3.381 1.214 5.552
O -1.599 4.949 8.063
O -0.645 1.485 4.413
Na 0.163 0.000 11.168
O 3.450 1.212 11.812
O -0.915 3.800 12.895
O -2.783 7.357 20.600
Na -0.002 4.875 14.987
P -1.213 2.171 5.673
O 3.394 6.290 20.582
O 0.821 6.263 17.076
Na -1.227 7.589 16.912
O -3.338 6.274 15.713
O 5.076 1.013 9.387
O 5.050 0.940 3.125
O 5.471 3.851 3.191
O 7.815 1.297 13.214
Ti 4.404 7.614 7.958
O -0.589 1.540 20.596
Na 0.084 0.105 0.071
Ti 0.006 5.072 7.010
Hf 4.411 7.592 14.545
O 1.672 5.164 21.983
O 3.746 4.060 5.560
O 5.057 4.003 16.773
O 5.134 6.054 18.183
O -0.574 6.419 12.860
O 2.685 2.262 0.634
P -3.104 5.362 16.953
P 1.307 7.213 9.324
O 5.193 1.253 16.813
O -3.391 6.380 9.203
O 3.712 4.090 11.819
O -1.015 6.308 5.775
O 0.972 3.812 1.712
P 2.479 5.050 20.688
Na 4.405 2.537 7.476
O 2.846 7.346 9.191
Ti -0.055 5.077 11.642
O 1.571 5.334 5.781
O -0.745 6.570 19.300
Hf 8.757 -0.001 19.282
Hf 4.414 2.525 15.415
O 0.631 3.575 10.572
Na -0.132 5.061 3.791
O 0.738 6.491 1.713
P 1.231 2.242 16.918
P -1.256 2.933 20.636
P -1.253 7.221 20.613
>>>
information on user types. In factory default this feature is disabled.
In the
User inactive logout
section, you set the time when the logged in user is automatically logged out if the
displaying unit has been inactive for the selected time. The displaying unit is defined as inactive when no visualization
device is connected and no functions on the graphical user interface are activated. You may choose the user should
be logged out while the displaying unit is turned on. Users are always logged out when the displaying unit is powered off,
Access archive without login
is enabled.
Enable 180 image rotation in Live View,
the 180 degrees rotation feature of the live image can be disabled. The 180
degrees rotation function is available in the
Image Adjustment
menu in the
Live View
screen (see section 5.1.2). When
the selector is activated the function is disabled and made invisible in the
Image Adjustment